Gearing up for Winter
Throughout the year, the North American beaver (Castor canadensis) is known for felling stands of trees - particularly those that are young and fast-growing - to be dragged away whole and used for dams or lodges. In the Fall, the beaver works especially hard to prepare for oncoming winter. After beavers use tree limbs to construct dams, beavers create giant piles of limbs in the water for winter lodging, which can stand over 7 feet above the water. These lodges have a fascinating design. In the heart of the lodge is a cove just big enough for a family of beavers to live in during winter. The top of the lodge has a small hole for air, but the rest is a tight, thick latticework of sticks that traps in heat and blocks out cold winds. Lastly, the lodge leaves a space underneath to provide a tunnel connecting the lodge to a food cache.
While lodges are under construction, beavers also float tree limbs near to their lodge, creating a stick pile of hundreds of pounds in weight. These limbs serve as a food supply in the winter when it’s too cold for beavers to trek beyond the riverbanks. To keep these sticks in place, beavers bury the sticks into the bottom of the river and leave part sticking out the top of the water. Once the top of the river freezes, the sticks are held in place under water for the beavers to access.
Amidst all this preparation, beavers make sure they are well fed. Fall is a time for beavers to build up body fat, giving them both better insulation and energy availability in the winter.
Embracing the Cold
_Molecular data, as found in the file_
=====
*1*
The following is a DFT calculation (ωB97M-V/def2-TZVPD) of the molecule C7H12.

Calculated values
LUMO = 1.2 eV
charge = 0
gap between HOMO and LUMO = 10.73 eV
SMILES = CC[C@H]1C[C@H]2C[C@@H]12
HOMO energy = -9.51 eV

```
19
C7H12 (ωB97M-V/def2-TZVPD)
C -1.72125 -2.11795 0.32992
C -1.19453 -0.65415 0.49022
C 0.37302 -0.34894 0.25608
C 0.54998 0.11121 -1.20591
C 1.38224 1.29701 -0.78602
C 0.77981 2.15283 0.31293
C 1.45478 0.89332 0.66089
H -2.82026 -2.14575 0.45004
H -1.31583 -2.79574 1.08583
H -1.53428 -2.55834 -0.65868
H -1.75258 -0.10271 -0.28552
H -1.59573 -0.28742 1.43805
H 1.09496 -1.06512 0.60401
H -0.38426 0.39234 -1.70485
H 1.06736 -0.63295 -1.81566
H 2.17394 1.71709 -1.39608
H 1.28560 3.09395 0.51060
H -0.27978 2.13631 0.53639
H 2.43681 0.91501 1.17778
```

---

*2*
The following is a DFT calculation (ωB97M-V/def2-TZVPD) of the molecule C7H12.

Calculated values
LUMO = 1.2 eV
charge = 0
gap between HOMO and LUMO = 10.97 eV
SMILES = CC1CC2(CC2)C1
HOMO energy = -9.80 eV

```
19
C7H12 (ωB97M-V/def2-TZVPD)
C -2.59524 0.08691 0.02308
C -1.14541 -0.36696 0.01407
C -0.18695 0.23012 -1.04550
C 0.90451 0.14388 0.01184
C 1.99467 -0.87853 -0.04199
C 2.32357 0.59615 -0.03229
C -0.16273 0.15416 1.10136
H -3.02683 0.03169 -0.98369
H -2.67501 1.12663 0.36166
H -3.21346 -0.53162 0.68316
H -1.08286 -1.46110 -0.04057
H -0.04071 -0.31135 -1.98651
H -0.45578 1.27304 -1.26198
H 2.13001 -1.43447 -0.96696
H 2.19954 -1.44816 0.86201
H 2.67931 1.03756 -0.96050
H 2.77657 1.01271 0.86370
H -0.44321 1.17511 1.39324
H 0.01999 -0.43579 2.00586
```

---

*3*
The following is a DFT calculation (ωB97M-V/def2-TZVPD) of the molecule C7H12.

Calculated values
LUMO = 0.9 eV
charge = 0
gap between HOMO and LUMO = 9.78 eV
SMILES = CC=C=CCCC
HOMO energy = -8.86 eV

```
19
C7H12 (ωB97M-V/def2-TZVPD)
C -3.03489 0.15787 0.21319
C -1.72417 -0.10786 -0.52071
C -0.71770 1.01949 -0.21376
C 0.51355 0.96493 -1.08922
C 1.58228 0.43286 -0.53914
C 2.25527 -0.57816 -0.04634
C 3.28961 -0.87109 1.00526
H -2.87712 0.14815 1.29863
H -3.40778 1.15211 -0.05899
H -3.80812 -0.57877 -0.02848
H -1.32527 -1.09235 -0.22544
H -1.91152 -0.17201 -1.60233
H -0.36395 0.91417 0.82083
H -1.22670 1.99326 -0.27914
H 1.77318 -1.45394 -0.47016
H 0.40974 1.03371 -2.17651
H 3.83165 0.00600 1.36638
H 4.01688 -1.64333 0.71543
H 2.72507 -1.32506 1.83049
```

---

*4*
The following is a DFT calculation (ωB97M-V/def2-TZVPD) of a 2-piece molecular cluster, C7H12 overall.

Calculated values
LUMO = 1.1 eV
charge = 0
gap between HOMO and LUMO = 9.97 eV
SMILES = CC1=CC1.C=CC
HOMO energy = -8.84 eV

```
19
C7H12 (ωB97M-V/def2-TZVPD)
C 1.73302 -0.80686 1.71687
C 1.51266 0.51667 1.03992
C 1.50871 0.68736 -0.27792
C -1.30332 -0.12256 -0.81586
C -1.35666 0.86417 -1.94129
C -1.19668 -0.62648 -1.99995
C -1.59835 -0.28875 0.62128
H 2.79795 -0.94368 1.93922
H 1.41949 -1.63804 1.07565
H 1.19075 -0.87740 2.66574
H 1.37359 1.38231 1.68801
H 1.38289 1.66724 -0.72835
H 1.61569 -0.15452 -0.95862
H -0.50631 1.52218 -2.14881
=====
When winter hits, beavers start to adapt to their new life of seclusion and darkness. Beavers are primarily nocturnal creatures, but life inside of a lodge is perpetual darkness. Interestingly, beavers know to leave their lodge for food during the night even without any external cues. One explanation is that they’re governed by their own circadian rhythms, which naturally alert them when it’s dark. However, after spending months in the lodge with no external signals to provide feedback, beavers are thrown off their cycle and their typical schedule becomes irrelevant.
Beavers spend almost the entire day sleeping or resting in their lodge. In the coldest temperatures, adult beavers are able to tolerate major body temperature fluctuations, and can at times reduce their average body temperature by 1 degree Celsius.
Given their low energy expenditure and high fat reserves, the beaver only needs to dive underwater for food about once per day. Beavers leave through their “tunnel,” which provides easy access to their underwater food without having to break through ice. During their dives, beavers lower their heart rate and limit energy use to dive for about 15 minutes. They bring sticks back to their relatively warm lodge to eat. Although the food supply is generally abundant, sticks obviously have minimal nutritional value (very few calories). Beavers naturally compensate for this poor nutrition by harnessing cellulose-digesting bacteria in their gut, and recycle their nutrients by eating their feces.
*For more facts about the beaver in the Adirondacks, visit: